SLAE – Assignment #7: Custom Shellcode Crypter

Assignment #7: Custom Shellcode Crypter

Seventh and last SLAE’s assignment requires to create a custom shellcode crypter. Since I had to implement an entire encryption schema both in python as an helper and in assembly as the main decryption routine, I've opted for something simple. I've chosen the Tiny Encryption Algorithm (TEA) as it does not require large IV or SBOX initialization vectors (adding a huge overhead to my shellcode's decoding routine), because it's tiny and not too...

SLAE – Assignment #6: Polymorphic Shellcode

Assignment #6: Polymorphic Shellcode

Sixth SLAE’s assignment requires to create three different (polymorphic) shellcodes version starting from published Shell Storm's examples. I've decided to take this three in exam: - linux/x86 execve ("/bin/sh") - 21 bytes - linux/x86 setuid(0) + chmod("/etc/shadow",0666) - 37 bytes - linux/x86 open cd-rom loop (follows "/dev/cdrom" symlink) - 39 bytes As always, all the code is also available on GitHub. Stay updated, join...

SLAE – Assignment #5: Metasploit Shellcode Analysis

Assignment #5: Metasploit Shellcode Analysis

Fifth SLAE’s assignment requires to dissect and analyse three different Linux x86 Metasploit Payload. Metasploit currently has 35 different payloads but almost half of it are Meterpreter version, thus meaning staged payloads. I’ve then decided to skip meterpreter payloads as they involve multiple stages and higher complexity that will break libemu graph generation (which I find very useful to better explain shellcode’s operations). In this blog we are going to analyse the following shellcodes: linux/x86/shell_find_tag linux/x86/shell_find_port linux/x86/shell/bind_nonx_tcp As always,...

SLAE – Assignment #4: Custom shellcode encoder

Assignment #4: Custom Shellcode Encoder

As the 4th SLAE’s assignment I was required to build a custom shellcode encoder for the execve payload, which I did, here how. Stay updated, join VoidSec's Telegram Channel:

Encoder Implementations

I’ve decided to not relay on XORing functionalities as most antivirus solutions are now well aware of this encoding schema, the same reason for which I’ve skipped ROT13 and other “rotating” encoding. I thought of using some multiple weird shifting schema but that...

SLAE – Assignment #3: Egghunter

Assignment #3: Egghunter

This time the assignment was very interesting, here the requirements: study an egg hunting shellcode and create a working demo, it should be configurable for different payloads. As many before me, I’ve started my research journey with Skape’s papers: “Searching Process Virtual Address Space”. I was honestly amazed by the paper content, it’s not only very well written and explained but it ‘s mind-blowing. Understanding why and how egg hunter shellcode should be crafted in such tailored way...

SLAE – Assignment #2: Reverse TCP Shell

Assignment #2: Reverse TCP Shell

Create a shell_reverse_tcp shellcode that connects back to an IP address, on a specific a port and execute a shell. The IP address and port number should be easy configurable. Again, instead of going for the path of writing a C TCP reverse shell from scratch, I decided to generate a raw Metasploit payload and analyze it with libemu.

Analyzing the Shellcode

All the code is also available on GitHub. This time the analysis will be a lot shorter...

SLAE – Assignment #1: Bind TCP Shell

Before attending the Corelan training and the OSCE certification, I’ve decided to start the x86 Assembly Language and Shellcoding on Linux Pentester Academy’s course. The next couple blogs (~7) will contains the assignments’ solutions for the SLAE certification exam.

1.
# Ho4Sb2SeS (GGA-PBE, relaxed)
# Fermi-level density of states   3.3 states/eV per cell
# Calculated total energy   -0.4209 Ry per atom
# Formation energy without anion corrections   -1455.7 meV per atom
data_Ho4Sb2SeS
_symmetry_space_group_name_H-M 'P 1'
_symmetry_Int_Tables_number 1
_symmetry_space_group_name_Hall 'P 1'
_cell_length_a 4.181
_cell_length_b 7.227
_cell_length_c 7.233
_cell_angle_alpha 70.44
_cell_angle_beta 90.00
_cell_angle_gamma 90.00
loop_
_atom_site_label
_atom_site_type_symbol
_atom_site_fract_x
_atom_site_fract_y
_atom_site_fract_z
Sb1 Sb 0.000 0.000 0.000
Sb2 Sb 0.500 0.000 0.500
Ho1 Ho 0.500 0.733 0.249
Ho2 Ho 0.000 0.728 0.764
Ho3 Ho 0.000 0.272 0.236
Ho4 Ho 0.500 0.267 0.751
S1 S 0.500 0.500 0.000
Se1 Se 0.000 0.500 0.500

---

2.
# Li2TeCl (GGA-PBE, relaxed)
# Fermi-level density of states   3.2 states/eV per cell
# Calculated total energy   -0.2184 Ry per atom
# Formation energy without anion corrections   -767.0 meV per atom
data_Li2TeCl
_symmetry_space_group_name_H-M 'P 1'
_symmetry_Int_Tables_number 1
_symmetry_space_group_name_Hall 'P 1'
_cell_length_a 4.977
_cell_length_b 4.977
_cell_length_c 4.977
_cell_angle_alpha 60.00
_cell_angle_beta 60.00
_cell_angle_gamma 60.00
loop_
_atom_site_label
_atom_site_type_symbol
_atom_site_fract_x
_atom_site_fract_y
_atom_site_fract_z
Li1 Li 0.250 0.250 0.250
Li2 Li 0.750 0.750 0.750
Te1 Te 0.500 0.500 0.500
Cl1 Cl 0.000 0.000 0.000

---

3.
# LaBeP (GGA-PBE, relaxed)
# Fermi-level density of states   1.7 states/eV per cell
# Calculated total energy   -0.3673 Ry per atom
# Calculated formation energy   -310 meV per atom
data_LaBeP
_symmetry_space_group_name_H-M 'P 1'
_symmetry_Int_Tables_number 1
_symmetry_space_group_name_Hall 'P 1'
_cell_length_a 5.978
_cell_length_b 5.628
_cell_length_c 3.508
_cell_angle_alpha 77.95
_cell_angle_beta 67.03
_cell_angle_gamma 35.02
loop_
_atom_site_label
_atom_site_type_symbol
_atom_site_fract_x
_atom_site_fract_y
_atom_site_fract_z
P1 P 0.626 0.626 0.374
Be1 Be 0.043 0.043 0.957
La1 La 0.331 0.331 0.669

---

4.
# TcRh2Br (GGA-PBE, relaxed)
# Fermi-level density of states   4.4 states/eV per cell
# Calculated total energy   -0.4340 Ry per atom
# Formation energy without anion corrections   780.1 meV per atom
data_TcRh2Br
_symmetry_space_group_name_H-M 'P 1'
_symmetry_Int_Tables_number 1
_symmetry_space_group_name_Hall 'P 1'
_cell_length_a 4.781
_cell_length_b 4.781
_cell_length_c 4.781
_cell_angle_alpha 130.16
_cell_angle_beta 130.16
_cell_angle_gamma 73.15
loop_
_atom_site_label
_atom_site_type_symbol
_atom_site_fract_x
_atom_site_fract_y
_atom_site_fract_z
Br1 Br 0.750 0.250 0.500
Rh1 Rh 0.500 0.500 0.000
Rh2 Rh 0.000 0.000 0.000
Tc1 Tc 0.250 0.750 0.500

---

5.
# K2Tl2Sb (GGA-PBE, relaxed)
# Fermi-level density of states   5.4 states/eV per cell
# Calculated total energy   -0.1796 Ry per atom
# Formation energy without anion corrections   -234.2 meV per atom
data_K2Tl2Sb
_symmetry_space_group_name_H-M 'P 1'
_symmetry_Int_Tables_number 1

Assignment #1: Bind TCP Shell

Create a shell_bind_tcp shellcode that binds to a port and execute a shell on an incoming connection, the port number should be easy to configure. Instead of going for the path of writing a C bind...

Backdoored OS


Nella giornata del 21 Febbraio la distribuzione Linux Mint è stata attaccata e, a seguito dell’intrusione, l’aggressore è stato in grado di modificare la ISO della versione 17.3 Cinnamon Edition, inserendo una backdoor al suo interno. "Hackers made a modified Linux Mint ISO, with a backdoor in it, and managed to hack our website to point to it," Clement Lefebvre - head of Linux Mint project Tralasciando le modalità dell’attacco a Wordpress, la successiva compromissione del sito web...

Backdoored OS


On February 21 Linux Mint was attacked and, as a result of the intrusion, the attacker was able to backdoor the ISO (Cinnamon Edition v17.3). "Hackers made a modified Linux Mint ISO, with a backdoor in it, and managed to hack our website to point to it," Clement Lefebvre - head of Linux Mint project Aside from the Wordpress attack, the subsequent forum dump (database password: "upMint.", seriously?) and the analysis of the malware (

News: BackBox Cloud

Prima del lancio ufficiale di BackBox Cloud noi di VoidSec abbiamo avuto, grazie a Raffaele Forte (founder e project manager della distribuzione), la possibilità di provare l’ambiente. Per chi non lo conoscesse: BackBox Linux è un sistema operativo basato su Ubuntu e orientato al penetration testing. Il progetto è Italiano e se vogliamo, in “concorrenza” diretta con Kali Linux, suddivisi per categoria e con un’installazione minimale, sono presenti solo i programmi essenziali al penetration test. VoidSec, mirror ufficiale di BackBox, vi propone...